Tuesday, September 18, 2012

Parents Interview

Me: What is your name?
Father: My name is Lee Hong Rae.

Me: How old are you?
Father: I'm fourtyone years old.

Next to the piece, the page also holds records of molecules.
-- begin --
Record 1
This record from the OMol25 dataset describes a 2-piece molecular cluster, CH2ClO2P overall at a distorted geometry. The level of theory is the ωB97M-V functional and the def2-TZVPD basis.

```
7
CH2ClO2P, DFT the ωB97M-V functional and the def2-TZVPD basis
O 0.74 -0.11 -0.81
C 1.63 -0.87 -0.23
O 2.05 -0.10 0.77
P 0.99 1.17 0.32
H 1.93 -1.82 -0.62
Cl -4.17 0.46 0.29
H -3.17 1.27 0.29
```

Computed properties:
max |F|: 0.046 Eh/bohr
Kohn-Sham gap: 7.89 eV
energy relative to the best compared isomer or geometry (same formula, charge and spin): 49.6 kcal per mole
SMILES string: O1C2OP12.Cl
net charge: 0
HOMO level: -7.69 eV

For each atom in turn, the Mulliken charge in e is:
1. O -0.29
2. C 0.23
3. O -0.32
4. P 0.02
5. H 0.36
6. Cl -0.25
7. H 0.24

---

Record 2
This record from the OMol25 dataset describes one molecule with the formula C4H8S2Si at a distorted geometry. The level of theory is the ωB97M-V functional and the def2-TZVPD basis.

```
15
C4H8S2Si, DFT the ωB97M-V functional and the def2-TZVPD basis
C 2.95 0.32 -0.29
C 2.45 -0.83 -0.07
C -1.68 0.34 1.60
C -1.29 -0.25 -1.47
Si -0.47 0.36 0.14
S 0.63 2.13 0.05
S 0.91 -1.39 0.51
H 3.62 1.11 -0.51
H 3.04 -1.73 -0.23
H -2.55 0.94 1.33
H -2.02 -0.66 1.85
H -1.24 0.79 2.49
H -0.60 -0.17 -2.31
H -1.59 -1.29 -1.38
H -2.17 0.34 -1.71
```

Computed properties:
max |F|: 0.044 Eh/bohr
Kohn-Sham gap (spin up / spin down): 6.57 / 6.96 eV
energy relative to the best compared isomer or geometry (same formula, charge and spin): 78.5 kcal per mole
net charge: 0
HOMO level (spin up / spin down): -8.61 / -8.67 eV

For each atom in turn, the Mulliken charge in e is:
1. C -0.30
2. C -0.11
3. C -0.96
4. C -0.99
5. Si 0.46
6. S -0.42
7. S -0.18
8. H 0.39
9. H 0.27
10. H 0.29
11. H 0.33
12. H 0.29
13. H 0.29
14. H 0.34
15. H 0.32

---

Record 3
This record from the OMol25 dataset describes a 8-piece molecular cluster, C15H38N7O14 overall. The level of theory is the ωB97M-V functional and the def2-TZVPD basis.

```
74
C15H38N7O14, DFT the ωB97M-V functional and the def2-TZVPD basis
C -2.52 -3.21 0.21
C -1.55 -2.02 0.23
C -1.47 -1.27 -1.12
C -1.04 -2.04 -2.38
C 0.06 -3.05 -2.08
C 1.39 -2.40 -1.66
C 2.30 -3.36 -0.85
C 2.36 -3.01 0.64
H -3.29 -3.14 0.98
H -2.97 -3.28 -0.79
H -1.98 -4.16 0.35
H -0.54 -2.31 0.55
H -1.90 -1.30 1.00
H -2.49 -0.89 -1.32
H -0.85 -0.37 -0.98
H -1.93 -2.58 -2.76
H -0.20 -3.80 -1.30
H 0.25 -3.63 -2.99
H 1.18 -1.52 -1.04
H 1.92 -2.09 -2.56
H 1.91 -4.39 -0.95
H 3.32 -3.38 -1.25
H 2.58 -1.94 0.78
H 1.41 -3.23 1.14
H 3.15 -3.57 1.16
C -0.63 1.28 -3.87
N -1.66 1.97 -3.04
O -1.37 2.25 -1.89
O -2.74 2.19 -3.54
H 0.27 1.17 -3.28
H -1.01 0.29 -4.12
H -0.47 1.89 -4.75
C 0.49 1.88 0.49
N 1.77 1.33 0.99
O 2.80 1.73 0.47
O 1.74 0.51 1.89
H 0.70 2.56 -0.32
H -0.13 1.05 0.16
H 0.01 2.39 1.33
C 6.31 -5.50 -2.70
N 4.83 -5.47 -2.90
O 4.15 -6.12 -2.14
O 4.43 -4.77 -3.80
H 6.53 -6.15 -1.86
H 6.75 -5.88 -3.62
H 6.63 -4.48 -2.51
C 1.87 5.06 3.24
N 0.53 4.46 2.99
O -0.08 4.81 2.01
O 0.14 3.65 3.80
-- stop --

Me: Where are you from?
Father: I'm from South Korea.

Me: What do you do?
Father: I working Yura.

Me: Was Why you come to this country?
Father: Because Yura want I working in here.

Me: What is your favorite?
Father: Watch the movies.

Me: How large is your family?
Father: Wife, son, and me.

Me: Finally, short sentence please.
Father: Son, I want you speak English well.

Monday, September 17, 2012

How has 9/11 changed our physical world?

How has 9/11 changed our physical world?

Traveling has become since 9/11 very tiring because there are many security checks in the airports around the world. This means travelers have to go to the airports much earlier than 9/11. The queues are much longer than before and travelers are more nervous during the traveling. The security industry ha s benefited from this new environment because a lot of investments in equipment and people have been made to make traveling safer. even though people make complain about this new setup, there has been no more attacks on US territory since 9/11.

Parents Interview

September 17 2012


11/9/2001 my mom was driving with my sister Ajda and me to visit my grandfather. My mom was listening to the radio and heard shocking news that two airplanes crashed in to the Tween  Towers. At first my mom was thinking it was a joke! When we came to our grandfather's house he asked my mom if she heard the news that happened in New York City. My mom turned on the tv and saw terrible videos of what happened. My family was shocked.11/9/2001 was a terrible day but my family was not directly affected with the terrorist attack. Although we weren't affected by the accident, we were really sorry for all the people who died and  all the family s who lost a member or friends.

Lan Mozetic intervene Jasmina Mozetic

Sunday, September 16, 2012

9/11 parents interview


That day the whole world was terrified by the attack of the terrorists on the twin towers in New York. My grandma was at her home in the kitchen, she left the tv on and wasnt totally paing attention to what was on it. She was wathing an aroplain crash in two buildings and because she didn't pay attention to the tv fully, she thought that it was a movie and started watching it, suddenly she noticed the people running and screaming for their lives and she realised thet it was reality and that an airoplane really had crashed into the twin towers. She couldn't believe that someone could do such a thing and want to hurt over 3,000 lives. My parents and my grandmother say that 9/11 has not changed their life at all, the only event that has changed their life is the bomming in 2000.

Interview by: Tara Jevrosimovic
Interviewd: Marta Rakic, Ines Jevrosimovic & Veselin Jevrosimovic

How has 9/11 changed our physical world?

After 9/11 the airport security has improved. Now people have no trust for each other. But mostly people fear Arabs more. The Americans realized that lots of people actually hate them. After that, lots of wars occurred between U.S.A and the middle east.  People started hating each other much more. And even after all this, the world is no safer.

Interviewing parents

Interviewing our parents
    9/11 has changed many lives and many things but there is also one more part. Security has grown much bigger everywhere and in the airports too. Know everything is very serious and nobody could feel unsafe, especially at the airport.

How Has 9/11 Changed Our "Physical World" Over The Past Ten Years

I interviewed my dad and he said, "The 9/11 has changed the world because it gives a new meaning to the war and the way we should look at the national and human security. The war is no longer between the two or more sovereign nations but it can goes beyond the territorial border. The parties or the players in this new war are not necessarily from the military or state armed forces (with uniform) but it can be anybody including the civil society."


When i ınterviwed my mother, she said that airport securıty has became even greater sınce 9/11.   You can no longer take liquids over 100ml on board like bottled water.  There are new and iımproved security screens and it takes a lot longer to go through security because of searches.

Misplaced calculated molecules.
- - -
(1)
Molecular formula: C30H29CdN9O2
Method: DFT, ωB97M-V/def2-TZVPD

Cartesian coordinates (Å):
Cd (1.102, -0.447, 0.939)
O (2.925, 0.038, -3.541)
C (4.183, 0.414, -3.177)
C (5.073, 0.897, -4.133)
C (6.363, 1.253, -3.785)
C (6.786, 1.121, -2.470)
C (5.902, 0.637, -1.522)
C (4.591, 0.290, -1.844)
C (3.666, -0.180, -0.767)
O (2.439, 0.069, -0.865)
N (4.281, -0.838, 0.227)
N (3.402, -1.215, 1.178)
C (3.853, -1.881, 2.170)
C (2.955, -2.314, 3.243)
C (3.424, -3.150, 4.254)
C (2.551, -3.565, 5.245)
C (1.231, -3.148, 5.196)
C (0.850, -2.314, 4.155)
N (1.685, -1.892, 3.213)
H (2.865, 0.079, -4.501)
H (4.739, 0.989, -5.162)
H (7.036, 1.629, -4.546)
H (7.794, 1.395, -2.188)
H (6.211, 0.514, -0.493)
H (4.907, -2.146, 2.221)
H (4.458, -3.469, 4.249)
H (2.894, -4.215, 6.039)
H (0.509, -3.456, 5.940)
H (-0.176, -1.971, 4.065)
C (-3.292, -2.821, 0.525)
C (-3.170, -1.634, 1.235)
C (-1.935, -0.999, 1.318)
C (-0.780, -1.519, 0.717)
C (-0.944, -2.707, -0.003)
C (-2.173, -3.350, -0.106)
H (-4.246, -3.332, 0.464)
H (-4.035, -1.198, 1.721)
H (-1.884, -0.064, 1.872)
H (-0.089, -3.162, -0.494)
H (-2.256, -4.272, -0.669)
C (-0.461, 0.790, -2.202)
C (-0.777, 1.686, -1.054)
N (-0.147, 1.704, 0.096)
C (-0.760, 2.670, 0.863)
C (-1.759, 3.262, 0.162)
N (-1.780, 2.614, -1.057)
C (-2.685, 2.910, -2.144)
N (-4.065, 2.817, -1.756)
N (-4.809, 3.952, -1.687)
N (-5.997, 3.660, -1.327)
C (-6.071, 2.294, -1.134)
C (-7.146, 1.489, -0.751)
C (-6.909, 0.139, -0.643)
C (-5.633, -0.407, -0.894)
C (-4.564, 0.372, -1.274)
C (-4.820, 1.740, -1.401)
H (0.482, 0.287, -2.002)
H (-0.337, 1.353, -3.130)
H (-1.242, 0.040, -2.348)
H (-0.444, 2.893, 1.869)
H (-2.456, 4.046, 0.405)
H (-2.472, 2.219, -2.957)
H (-2.547, 3.931, -2.493)
H (-8.117, 1.922, -0.552)
H (-7.711, -0.526, -0.350)
H (-5.483, -1.471, -0.768)
H (-3.583, -0.062, -1.424)
N (2.018, 1.226, 2.357)
H (2.153, 2.095, 1.852)
H (2.926, 0.860, 2.621)
H (1.499, 1.427, 3.204)

The calculation puts the relative energy (zero: lowest compared OMol25 entry of this formula, charge and spin) at 0.0 kJ/mol. The max |F| is 0.0066 hartree/bohr. The value obtained for the LUMO energy is 0.1 eV.

=====

(2)
Molecular formula: C30H29ClN3O3ReS4
Method: DFT, ωB97M-V/def2-TZVPD

Cartesian coordinates (Å):
Re (0.306, -0.518, -0.207)
O (1.920, -1.816, -0.231)
N (3.193, -1.406, -0.132)
C (4.097, -2.342, 0.239)
C (5.416, -2.023, 0.356)
C (5.815, -0.706, 0.093)
C (4.880, 0.221, -0.290)
C (3.526, -0.131, -0.414)
S (2.286, 0.932, -0.870)
H (3.678, -3.320, 0.423)
H (6.125, -2.784, 0.651)
H (6.856, -0.421, 0.196)
H (5.150, 1.248, -0.499)
O (0.277, 1.923, 0.960)
S (0.429, 3.026, 1.963)
C (-1.032, 4.114, 1.731)
C (-2.129, 3.392, 0.956)
C (-1.961, 3.439, -0.568)
C (-3.072, 2.662, -1.260)
S (-2.688, 0.890, -1.506)
O (-1.651, 0.531, -0.441)
C (-1.921, 1.002, -3.101)
C (-0.613, 1.211, -3.210)
C (0.063, 1.139, -4.526)
C (-0.859, 0.890, -5.756)
C (-2.334, 0.912, -5.493)
C (-2.825, 0.902, -4.257)
C (-0.088, 2.432, 3.570)
C (0.506, 2.987, 4.696)
C (0.104, 2.558, 5.954)
- - -

Interview with dad

How has 9/11 changed our “Physical world” over the past ten years?

9/11 act of terrorism has brought the whole world together to formulate a global strategy, with a sense of solidarity and mutual cooperation among all the countries, to fight against this menace of terrorism.